# Assignment
Find the line underneath that holds "4.334 states/eV", then retype that line and all lines after it there.

# Input
********
## PrGdOs (PBE-GGA)

Data for a geometry-optimized PrGdOs structure.

Cell and atoms, written as CIF:
```
data_PrGdOs
_symmetry_space_group_name_H-M 'P 1'
_symmetry_Int_Tables_number 1
_symmetry_space_group_name_Hall 'P 1'
_cell_length_a 3.4678
_cell_length_b 3.4678
_cell_length_c 7.2977
_cell_angle_alpha 103.74
_cell_angle_beta 103.74
_cell_angle_gamma 90.00
loop_
_atom_site_label
_atom_site_type_symbol
_atom_site_fract_x
_atom_site_fract_y
_atom_site_fract_z
Pr1 Pr 0.0411 0.0411 0.0822
Gd1 Gd 0.2889 0.2889 0.5778
Os1 Os 0.6700 0.6700 0.3400
```

Properties
Its formation energy is -74 meV per atom. The density of states at the Fermi level comes out at 2.025 states/eV per cell. The relative energy among the computed polymorphs comes out at 0.7 kJ per mole of atoms.

=====

## Sr2HfGeI (PBE-GGA)

Data for a geometry-optimized Sr2HfGeI structure.

Cell and atoms, written as CIF:
```
data_Sr2HfGeI
_symmetry_space_group_name_H-M 'P 1'
_symmetry_Int_Tables_number 1
_symmetry_space_group_name_Hall 'P 1'
_cell_length_a 6.5310
_cell_length_b 6.5310
_cell_length_c 5.0262
_cell_angle_alpha 90.00
_cell_angle_beta 90.00
_cell_angle_gamma 90.00
loop_
_atom_site_label
_atom_site_type_symbol
_atom_site_fract_x
_atom_site_fract_y
_atom_site_fract_z
I1 I 0.5000 0.5000 0.5000
Sr1 Sr 0.0000 0.5000 0.0000
Sr2 Sr 0.5000 0.0000 0.0000
Ge1 Ge 0.0000 0.0000 0.5000
Hf1 Hf 0.0000 0.0000 0.0000
```

Properties
The uncorrected formation energy is 0.622 eV/f.u. The density of states at the Fermi level comes out at 4.023 states/eV per cell.

=====

## BaGe12Pd4 (PBE-GGA)

Data for a geometry-optimized BaGe12Pd4 structure.

Cell and atoms, written as CIF:
```
data_BaGe12Pd4
_symmetry_space_group_name_H-M 'P 1'
_symmetry_Int_Tables_number 1
_symmetry_space_group_name_Hall 'P 1'
_cell_length_a 7.6199
_cell_length_b 7.6199
_cell_length_c 7.6199
_cell_angle_alpha 109.47
_cell_angle_beta 109.47
_cell_angle_gamma 109.47
loop_
_atom_site_label
_atom_site_type_symbol
_atom_site_fract_x
_atom_site_fract_y
_atom_site_fract_z
Ba1 Ba 0.0000 0.0000 0.0000
Ge1 Ge 0.8472 0.3571 0.2042
Ge2 Ge 0.3571 0.5099 0.1528
Ge3 Ge 0.7958 0.1528 0.6429
Ge4 Ge 0.3571 0.2042 0.8472
Ge5 Ge 0.2042 0.8472 0.3571
Ge6 Ge 0.6429 0.4901 0.8472
Ge7 Ge 0.5099 0.1528 0.3571
Ge8 Ge 0.4901 0.8472 0.6429
Ge9 Ge 0.6429 0.7958 0.1528
Ge10 Ge 0.8472 0.6429 0.4901
Ge11 Ge 0.1528 0.3571 0.5099
Ge12 Ge 0.1528 0.6429 0.7958
Pd1 Pd 0.0000 0.5000 0.0000
Pd2 Pd 0.5000 0.0000 0.0000
Pd3 Pd 0.5000 0.5000 0.5000
Pd4 Pd 0.0000 0.0000 0.5000
```

Properties
Its formation energy is -259 meV per atom. The density of states at the Fermi level comes out at 10.637 states/eV per cell.

=====

## ThCuAu (PBE-GGA)

Data for a geometry-optimized ThCuAu structure.

Cell and atoms, written as CIF:
```
data_ThCuAu
_symmetry_space_group_name_H-M 'P 1'
_symmetry_Int_Tables_number 1
_symmetry_space_group_name_Hall 'P 1'
_cell_length_a 4.1911
_cell_length_b 3.7559
_cell_length_c 9.4321
_cell_angle_alpha 101.48
_cell_angle_beta 116.02
_cell_angle_gamma 90.00
loop_
_atom_site_label
_atom_site_type_symbol
_atom_site_fract_x
_atom_site_fract_y
_atom_site_fract_z
Th1 Th 0.5372 0.8922 0.7844
Th2 Th 0.4628 0.1078 0.2156
Cu1 Cu 0.1732 0.4610 0.9221
Cu2 Cu 0.8268 0.5390 0.0779
Au1 Au 0.8502 0.2977 0.5954
Au2 Au 0.1498 0.7023 0.4046
```

Properties
Its formation energy is -429 meV per atom. The density of states at the Fermi level comes out at 4.334 states/eV per cell. The relative energy among the computed polymorphs comes out at 5.8 kJ per mole of atoms.

=====

## LiCaTc (PBE-GGA)

Data for a geometry-optimized LiCaTc structure.

Cell and atoms, written as CIF:
```
data_LiCaTc
_symmetry_space_group_name_H-M 'P 1'
_symmetry_Int_Tables_number 1
_symmetry_space_group_name_Hall 'P 1'
_cell_length_a 4.5695
_cell_length_b 4.5695
_cell_length_c 4.5695
_cell_angle_alpha 60.00
_cell_angle_beta 60.00
_cell_angle_gamma 60.00
loop_
_atom_site_label
_atom_site_type_symbol
_atom_site_fract_x
_atom_site_fract_y
_atom_site_fract_z
********

# Response
Its formation energy is -429 meV per atom. The density of states at the Fermi level comes out at 4.334 states/eV per cell. The relative energy among the computed polymorphs comes out at 5.8 kJ per mole of atoms.

=====

## LiCaTc (PBE-GGA)

Data for a geometry-optimized LiCaTc structure.

Cell and atoms, written as CIF:
```
data_LiCaTc
_symmetry_space_group_name_H-M 'P 1'
_symmetry_Int_Tables_number 1
_symmetry_space_group_name_Hall 'P 1'
_cell_length_a 4.5695
_cell_length_b 4.5695
_cell_length_c 4.5695
_cell_angle_alpha 60.00
_cell_angle_beta 60.00
_cell_angle_gamma 60.00
loop_
_atom_site_label
_atom_site_type_symbol
_atom_site_fract_x
_atom_site_fract_y
_atom_site_fract_z